Many years ago, you could fix a car with a screwdriver and a hammer. The motors were simple and straight forward. People took that same approach to healthcare. If you were sick, take a ... read more...
The crux of desktop search used to be being able to find data on your desktop, or in shared network folders. The initial idea was to have a native search function on your desktop, ... read more...
Semantic search is steadily increasing in popularity. Semantics are already leveraged to some degree across numerous and varied search engines. There are difficult challenges in implementation and query processing to overcome, however, semantics are ... read more...
The usefulness of data storage is inherently derived from the ability retrieve, at command, a relevant subset of the data. So, as data sets grow bigger, how does this impact the future of search technologies? read more...
In this day and age, you would think companies would maintain their accounts in the most up-to-date way possible. If you start looking closely at how a company accounts for its assets however, it quickly ... read more...
Desktop search was a major focus of many companies over the years. Google entered the fray in 2004 with their own client tool that was designed to let users search their own PCs for ... read more...
The reasons many people look for a desktop search alternative is because they want functions that aren’t included in the native Windows Search. If a user wants to search Microsoft Outlook as well as ... read more...
## Crystal structures that have nothing to do with the text
- - -
Starting from a crystal structure in Alexandria, relaxed with GGA+U, the PXRD pattern of LiCo3OF5 was computed for Cu Kα.
Neutral-atom scattering factors, no anomalous dispersion.

Structural model:
```
data_LiCo3OF5
_chemical_formula_sum 'Li2 Co6 O2 F10'
_symmetry_space_group_name_H-M 'P 1'
_symmetry_Int_Tables_number 1
_cell_length_a 6.0550
_cell_length_b 6.1437
_cell_length_c 6.1566
_cell_angle_alpha 92.45
_cell_angle_beta 91.78
_cell_angle_gamma 92.33
loop_
_symmetry_equiv_pos_as_xyz
'x,y,z'
loop_
_atom_site_label
_atom_site_fract_x
_atom_site_fract_y
_atom_site_fract_z
_atom_site_occupancy
Li1 0.0000 0.0000 0.0000 1
Li2 0.4840 0.4871 0.4911 1
Co1 0.0481 0.7497 0.6035 1
Co2 0.2402 0.4533 0.9387 1
Co3 0.4196 0.9564 0.2605 1
Co4 0.5592 0.0777 0.7374 1
Co5 0.7682 0.6020 0.0601 1
Co6 0.9024 0.2392 0.4197 1
O1 0.0369 0.6829 0.9072 1
O2 0.5812 0.1781 0.4388 1
F1 0.0862 0.9553 0.3256 1
F2 0.1663 0.4071 0.5737 1
F3 0.3101 0.1212 0.9629 1
F4 0.3942 0.8010 0.5948 1
F5 0.4229 0.6104 0.1961 1
F6 0.5699 0.4333 0.8270 1
F7 0.6705 0.9213 0.0315 1
F8 0.8085 0.5935 0.4044 1
F9 0.9046 0.0519 0.7016 1
F10 0.9499 0.3101 0.1059 1
```

The 8 most intense peaks (10 to 80 degrees two-theta), low angle first:
2theta, d_spacing, Rel. int., (hkl)
20.22, 4.393, 38, 1 -1 0
26.25, 3.395, 100, 1 1 1
32.00, 2.797, 63, 0 1 -2
32.18, 2.782, 63, 1 -2 0
32.57, 2.749, 53, 2 0 -1
33.17, 2.701, 33, 0 2 1
35.76, 2.511, 23, -1 1 2
47.49, 1.914, 23, 0 3 1

* * * * *

Calculated powder diffraction line list of Pm5Sb4Br for Cu Kα (weighted mean of Kα1 and Kα2), from a structure optimized by DFT (PBE).

Structure:
a b c (Å): 16.086 16.086 16.086
angles (deg): 164.06 164.06 22.62
Fractional positions:
Pm  0.000  0.000  0.000
Pm  0.200  0.200  0.000
Pm  0.398  0.398  0.000
Pm  0.602  0.602  0.000
Pm  0.800  0.800  0.000
Sb  0.098  0.098  0.000
Sb  0.300  0.300  0.000
Sb  0.700  0.700  0.000
Sb  0.902  0.902  0.000
Br  0.500  0.500  0.000

Principal peaks in the range 2θ = 10–80°, low angle first:
| 2θ (°) | intensity |
| --- | --- |
| 28.3 | 100.0 |
| 40.4 | 76.1 |
| 50.1 | 27.1 |
| 58.5 | 12.7 |
| 66.3 | 34.7 |
| 73.5 | 25.5 |


Calculated powder diffraction line list of Pm3SbTeBr for Cu Kα (weighted mean of Kα1 and Kα2), from a structure optimized by DFT (PBE).

Structure:
a b c (Å): 9.221 4.297 10.333
angles (deg): 90.00 92.46 90.00
Fractional positions:
Pm  0.113  0.250  0.339
Pm  0.149  0.250  0.939
Pm  0.377  0.750  0.636
Pm  0.623  0.250  0.364
Pm  0.851  0.750  0.061
Pm  0.887  0.750  0.661
Sb  0.132  0.250  0.640
Sb  0.868  0.750  0.360
Te  0.370  0.750  0.325
Te  0.630  0.250  0.675
Br  0.368  0.750  0.926
Br  0.632  0.250  0.074

Principal peaks in the range 2θ = 10–80°, low angle first:
| 2θ (°) | intensity |
| --- | --- |
| 25.9 | 34.6 |
| 28.4 | 100.0 |
| 38.2 | 20.9 |
| 39.1 | 19.0 |
| 39.4 | 25.6 |
| 42.1 | 17.0 |


Calculated powder diffraction line list of Pm3Se3Br for Cu Kα (weighted mean of Kα1 and Kα2), from a structure optimized by DFT (PBE).

Structure:
- - -
## So much for the crystal structures
Desktop virtualization, also called VDI (Virtual Desktop Infrastructure), is currently on everyone’s lips. To understand desktop virtualization, one must first explain the concept of “virtualization“: This is where hardware, operating systems, data storage or ... read more...
As practical, convenient and secure virtual desktop environments may be – in practice, they do present some problems. For example, try to find an email in an Outlook mailbox, or a file on the ... read more...
The article is interrupted by records of crystals:
- - -
Computed powder X-ray diffraction pattern of K3PbAu3 for Cu Kα, from a crystal structure in Alexandria, relaxed with PBE.
Lines closer than 0.1° are merged.

Most intense lines, 10° ≤ 2θ ≤ 80°, by angle:
2theta  Rel. int.
14.47  67
19.87  100
22.44  26
22.84  23
28.44  37
28.73  29
31.94  35
33.85  28
35.04  24
35.48  67
36.98  44
43.71  32

Cell and atoms:
Cell lengths 6.5878, 6.5878, 16.4373 Å; angles 109.31, 109.31, 43.31 degrees
Element x y z (fractional)
1 K 0.0252 0.0252 0.2747
2 K 0.1765 0.1765 0.5732
3 K 0.3615 0.3615 0.8684
4 K 0.6385 0.6385 0.1316
5 K 0.8235 0.8235 0.4268
6 K 0.9748 0.9748 0.7253
7 Pb 0.3251 0.3251 0.0907
8 Pb 0.6749 0.6749 0.9093
9 Au 0.0870 0.0870 0.9627
10 Au 0.3237 0.3237 0.2690
11 Au 0.4702 0.4702 0.5773
12 Au 0.5298 0.5298 0.4227
13 Au 0.6763 0.6763 0.7310
14 Au 0.9130 0.9130 0.0373

---

Computed powder X-ray diffraction pattern of HgPdAu for Cu Kα, from a crystal structure in Alexandria, relaxed with PBE.
Lines closer than 0.1° are merged.

Most intense lines, 10° ≤ 2θ ≤ 80°, by angle:
2theta  Rel. int.
19.19  28
26.07  46
28.43  37
29.58  34
38.96  100
39.83  94
41.49  84
49.66  34
53.63  20
70.00  36
73.41  32
75.14  30

Cell and atoms:
Cell lengths 5.5370, 5.5370, 5.5370 Å; angles 113.89, 110.92, 103.77 degrees
Element x y z (fractional)
1 Hg 0.2494 0.2500 0.4994
2 Hg 0.7506 0.7500 0.5006
3 Pd 0.7495 0.2495 0.5000
4 Pd 0.7495 0.7495 0.0000
5 Au 0.2495 0.7492 0.0003
6 Au 0.7489 0.2492 0.9997

---

Computed powder X-ray diffraction pattern of LuZrNp for Cu Kα, from a crystal structure in Alexandria, relaxed with PBE.
Lines closer than 0.1° are merged.

Most intense lines, 10° ≤ 2θ ≤ 80°, by angle:
2theta  Rel. int.
19.60  22
28.62  5
34.28  100
34.92  97
39.79  4
45.24  9
49.75  36
59.24  7
61.40  19
61.81  38
70.27  25
72.24  12

Cell and atoms:
Cell lengths 5.2312, 5.2312, 3.1193 Å; angles 90.00, 90.00, 120.00 degrees
Element x y z (fractional)
1 Lu 0.0000 0.0000 0.0000
2 Zr 0.3333 0.6667 0.5000
3 Np 0.6667 0.3333 0.5000

---

Computed powder X-ray diffraction pattern of ZrMn5Tc for Cu Kα, from a crystal structure in Alexandria, relaxed with PBE.
Lines closer than 0.1° are merged.

Most intense lines, 10° ≤ 2θ ≤ 80°, by angle:
2theta  Rel. int.
35.01  24
37.90  39
38.11  59
40.01  100
40.29  73
43.15  21
45.43  52
46.60  26
47.34  63
48.63  47
69.91  31
74.30  23

Cell and atoms:
Cell lengths 7.9518, 4.7484, 9.8910 Å; angles 90.00, 90.00, 90.00 degrees
Element x y z (fractional)
1 Zr 0.2481 0.2500 0.0609
2 Zr 0.2519 0.7500 0.5609
3 Zr 0.7481 0.2500 0.4391
4 Zr 0.7519 0.7500 0.9391
5 Mn 0.0539 0.7500 0.0888
6 Mn 0.0739 0.0091 0.3095
7 Mn 0.0739 0.4909 0.3095
8 Mn 0.0857 0.2500 0.5254
9 Mn 0.1907 0.2500 0.7532
10 Mn 0.3093 0.7500 0.2532
11 Mn 0.4143 0.7500 0.0254
12 Mn 0.4261 0.5091 0.8095
13 Mn 0.4261 0.9909 0.8095
14 Mn 0.4461 0.2500 0.5888
15 Mn 0.5539 0.7500 0.4112
16 Mn 0.5739 0.0091 0.1905
17 Mn 0.5739 0.4909 0.1905
18 Mn 0.5857 0.2500 0.9746
19 Mn 0.6907 0.2500 0.7468
20 Mn 0.8093 0.7500 0.2468
- - -
Email is an excellent communication method. It has become a ubiquitous part of daily life since it became widespread in the mid-1990s. It is so well-used that workers now spend 28% of business hours reading and writing emails. Improving the
...and what you can do to fix it. Although desktop virtualization has become much simpler and more commonplace as virtualization technologies have evolved, it still poses some difficulties that can be a huge stumbling block for many companies. While some of